Taraval Station

Captain’s Message – February 2017

It is an exciting time for the San Francisco Police Department as we welcome Chief Bill Scott. We are proud to have his leadership and look forward to working with him. Special thanks to Assistant Chief Toney Chaplin, for his continued commitment and dedication to our department. Asst. Chief Chaplin provided us with the stability and the confidence we needed to move forward during a difficult time of change. I know I speak for many when I say, we are grateful for the sacrifices he made on behalf of the officers and the community. We know that he will continue to be a strong influence in his leadership role.

As 2016 came to a close, we saw a significant decrease in burglaries and auto burglaries. With crime trends on the decrease, it is important to know that our success comes from the partnerships we have made with the community and city agencies. Our officers are diligent in their efforts of higher visibility throughout the district. Our Taraval investigators are relentless in their pursuit of identifying suspects and solving cases while many of our community members also play a strong and active role in the safety of their neighborhoods. I must also thank the members of SFSafe who are an intricate component to the safety of our neighborhoods. I am confident that our efforts through our partnerships will continue to produce positive results in the future.

In January, the residents of the OMI were faced with the impact of an Officer Involved Shooting incident and a homicide. We understand the stress this places on the residents and know they rely on us to work closely with them to maintain a sense of safety in their neighborhoods. Our commitment to community policing through trust building is strong. I have noticed a decreased in the attendance at our community meetings and understand that life, especially during the holidays, can become extremely busy. Please know that your perspective and thoughts on issues and events are needed, valued and have been greatly appreciated. I would like to invite all of you to set aside one hour a month to participate in a community meeting in your neighborhood. Your participation is important and matters to us as we strive to demonstrate our professional best.

On Friday the 27th, I attended the 9th Annual NEN Awards. The Neighborhood Empowerment Network Awards is an opportunity to celebrate all the amazing people, groups and organizations that make a real difference in our neighborhoods. Our congratulations to The Outer Sunset for being awarded the Comeback Neighborhood of the Year! It was my honor to stand with you as you accepted your award and I look forward to witnessing your continued success in 2017. Long time OMI resident, Mary Harris was awarded the NEN Lifetime Achievement Award. This distinguished award was well deserved. Mary Harris is a champion of community safety and growth. Her volunteer efforts and commitment can be felt throughout the city. She has been a long time member of the Taraval Community Policing Advisory Board and I am incredibly lucky to have the opportunity to work closely with her. Congratulations again, Mary! Thank you for all your hard work and dedication!!

On Saturday the 28th, I attended two events in the OMI which I believe deserve acknowledgement. Congratulations to Habitat for Humanity as they opened housing on Sagamore St at Capitol. It was a three year long project that has resulted in housing for numerous families. It was a cold morning but the warmth of the community as the families were welcomed home was truly a memorable moment. As the day warmed up, the Shared Playgrounds program celebrated the opening of Sheridan School to the community on the weekend. I had the great opportunity to talk with the children who attended the celebration. They were excited to have the space available to them as they enjoy the outdoors. Special thanks to BOS Mark Farrell for your commitment to this growing program.

Saturday also marked the beginning of the Chinese Lunar New Year. The celebration of the New Year is a joyous time for the Chinese community. Unfortunately, it is also a time when suspects will attempt to victimize citizens. Please avoid having large sums of cash on your person or in your home. Also, many suspects will target residents who decorate their home for the Lunar New Year. We strongly discourage residents from decorating the exterior of their homes in an effort to lessen these chances of being targeted. If you have been a victim of a crime or suspect you are being targeted, please let us know.

Inserted here: records of crystals =
Run 1
The following is a PBE-GGA calculation of ZrHg2Ru2 after structural relaxation, from Alexandria.

Output
- M_tot (μB/atom) = 0.00
- density of states at the Fermi level (states/eV/cell) = 6.93

Lattice parameters (Å, degrees): 6.7921 6.7921 4.1589 90.00 90.00 90.00
Last column: nearest neighbours and their distance in Å.
Fractional positions:
Hg  0.1690  0.6690  0.5000  6 Ru 2.83-2.92
Hg  0.8310  0.3310  0.5000  6 Ru 2.83-2.92
Hg  0.3310  0.1690  0.5000  6 Ru 2.83-2.92
Hg  0.6690  0.8310  0.5000  6 Ru 2.83-2.92
Ru  0.8691  0.6309  0.0000  1 Ru 2.51, 2 Zr 2.66
Ru  0.1309  0.3691  0.0000  1 Ru 2.51, 2 Zr 2.66
Ru  0.6309  0.1309  0.0000  1 Ru 2.51, 2 Zr 2.66
Ru  0.3691  0.8691  0.0000  1 Ru 2.51, 2 Zr 2.66
Zr  0.0000  0.0000  0.0000  4 Ru 2.66
Zr  0.5000  0.5000  0.0000  4 Ru 2.66



Run 2
The following is a PBE-GGA calculation of ZrHg2Ru2 after structural relaxation, from Alexandria.

Output
- M_tot (μB/atom) = 0.00
- density of states at the Fermi level (states/eV/cell) = 5.65

Lattice parameters (Å, degrees): 3.9796 3.9796 6.9221 73.29 73.29 90.00
Last column: nearest neighbours and their distance in Å.
Fractional positions:
Ru  0.4077  0.4077  0.1846  1 Ru 2.33
Ru  0.5923  0.5923  0.8154  1 Ru 2.33
Hg  0.7500  0.2500  0.5000  4 Hg 2.81, 4 Ru 2.82
Hg  0.2500  0.7500  0.5000  4 Hg 2.81, 4 Ru 2.82
Zr  0.0000  0.0000  0.0000  8 Ru 3.05



run 1 has the most favorable energy; the next structure is 230 meV/atom above.

----------

Hf2SnPt | PBE | optimized geometry

Cell: 4.300 4.300 4.239 Å, 90.00 90.00 90.00°
Space group P4/mmm (No. 123)
Unique sites:
Hf: 0.000 0.500 0.000
Sn: 0.000 0.000 0.500
Pt: 0.500 0.500 0.500

- E_tot: -32.288 eV for the cell shown
- D(E_F): 1.16 states/eV per atom
- DFT formation energy: -584.3 meV per atom

ScAlN2 | PBE | optimized geometry

Cell: 3.1757 3.1757 17.5022 Å, 90.00 90.00 120.00°
Space group R-3m (No. 166, hexagonal axes)
Unique sites:
Sc: 0.0000 0.0000 0.0000
Al: 0.0000 0.0000 0.5000
N: 0.0000 0.0000 0.1129

- E_tot: -83.297 eV for the cell shown
- D(E_F): 1.06 states/eV per atom
- Energy relative to the elements, uncorrected: -0.260 eV per atom

Tc3SnN | PBE | optimized geometry

Cell: 7.2170 7.2170 5.6144 Å, 90.00 90.00 120.00°
Space group R3m (No. 160, hexagonal axes)
Unique sites:
Tc: 0.2091 0.4182 0.0000
Sn: 0.0000 0.0000 0.9106
N: 0.0000 0.0000 0.5426

- Energy above the most stable polymorph in this dataset: 669.8 meV/atom
- E_tot: -119.592 eV for the cell shown
- D(E_F): 0.61 states/eV per atom
- Energy relative to the elements, uncorrected: 0.712 eV per atom

Y2SiW | PBE | optimized geometry

Cell: 4.184 4.033 10.996 Å, 90.00 90.00 90.00°
Space group Amm2 (No. 38)
Unique sites:
Y: 0.000 0.000 0.000
Y: 0.500 0.000 0.293
Si: 0.500 0.000 0.585
W: 0.000 0.000 0.708

- E_tot: -63.571 eV for the cell shown
- D(E_F): 0.64 states/eV per atom
- Energy relative to the elements, uncorrected: -0.120 eV per atom

LiNi2Ru | PBE | optimized geometry

Cell: 2.6004 2.6004 25.4185 Å, 90.00 90.00 120.00°

We hope all our residents enjoy this special time of the year, Gung Hei Fat Choy! May you have a healthy, joyful and prosperous Year of the Rooster!

In closing, if you have any questions, concerns or suggestions that impact your neighborhood, please let me know. You can email me directly at denise.flaherty@sfgov.org or you can call me at 415-759-3100